Lots of literature from 1973 refers to the industrial troubles of the Country at the time. We love this opening article from The Court magazine, the ‘Shiplake spirit’ permeates everything we do.

In anticipation of our 2019 OVS Magazine going to print, it is interesting to learn that even back in 1973 the Old Viking Society was stressing the importance of having up-to-date contact details for their members. The online form we use today is a lot more advanced than the ‘change of address slip’ referred to in the OVS Newsletter from December '73.

Who remembers the Easter History tour to Ypres in 1973?
‘"Seven coffees, three cokes and a beer" rapidly became the standard order during our morning and afternoon stops on our week long motor tour of Northern France. While the pleasantness of French wayside cafés was one of the many ways in which we had a good deal of sun, our trip had a basically serious purpose: to visit the chief battlefields on the 1914-18 Western Front from Ypres in Belgium as far east as Verdun. At the last minute the school mini-bus was not available and we had the use of two roomy French cars on our round trip from Bologne to Dieppe. With 850 miles of travel recorded during six days (as a result of using two cars) we did have the disadvantage of the party not being together but we did find it much easier to keep to our planned schedule. Looking back the slowness of the mini-bus might have forced us to omit some of our visits. At the start Arras was our base, which we reached after a visit to Agincourt—the open area between two woods remains much as it was in 1415. Our trip north to Ypres was very full. The day was clear though cold and every one was most impressed by the size and frequency of the war cemeteries, the sombre beauty of the many monuments, and the small area in which so much savage fighting took place. Everyone we met was most friendly and one should not omit that we began appropriately at Neuve Chappelle, by visiting the memorial to Major C. E. Harrison of Shiplake Court. Like the Canadians in 1917, we encountered driving snow on Vimy Ridge and there began our collections of shrapnel, duds and barbed wire that winter rain and spring ploughing still lay bare each year. On the Somme front the villagers in the café were most interested in the many official photos of their area that we had brought with us. The visit to Beaumont Hamel, with its notorious 'Y' Ravine and attractive Newfoundland Park was one of the high spots of the tour. The remains of vast craters were also very memorable and the once deeply dug German trenches showed clearly almost everywhere as white lines across ploughed fields. 23 From this point on, the sunny weather deserted us and very heavy rain made our third day's exploration difficult. It was in the pouring rain that we observed, in the cemetery at Delville Wood, the most moving sight of all—the gravestone of a sixteen-year-old volunteer near to that of a regular army V.C. The second part of our tour was along the French front. In these regions, generally speaking, reclamation of war-devastated areas is far from complete—especially along the Chemin des Dames and east of Reims. Few of us will forget the remains of the village of Nauroy and the pitiful vestiges of its Church left much as the war left it in 1918. Just a day in the Verdun area was not enough to grasp fully the extent and scale of the destruction that two thousand million shells wrought. A new museum helped to bring this home to us and this museum along with the ruined forts that we visited made this both the busiest and the quietest day we had. We all had fairly sombre thoughts as we turned westward on the first leg of our return trip. Our evenings were spent relaxing—at the fair in Arras—dining out in style at Amiens—after a visit to the cathedral. Indeed after the enormous meals we had at Reims we could do little except relax. After a week packed full of events the party dispersed somewhat sadly at Newhaven but looking forward to the possibility of a similar trip in the near future.’
Also in 1973:
The Sailing Club was very popular with 50 members...
"At the end of the Summer Term the club had its annual expedition up the river to Reading and beyond. This supplied all those who went with a lot of amusement. At one point cows walked through the camp at four in the morning removing one tent en route and setting the captain adrift, so that he floated in his boat down the river while he was still asleep."
Next to the text, the page also holds calculated crystals.
/*
No. 1
Density functional theory data (PBE-GGA) for a relaxed structure of PmYNp2As4.

Results
Formation energy: -104.3 kJ per mole of atoms

Cell: 4.121 7.180 7.185 Å, 109.26 90.00 90.00°
Each line ends with the local moment (μB).
Fractional coordinates of all 8 atoms:
As1 0.000 0.756 0.258  0.03
As2 0.500 0.752 0.745  -0.03
Np1 0.000 0.500 0.500  3.69
Pm1 0.500 0.500 0.000  0.00
Np2 0.500 0.000 0.500  -3.64
Y1 0.000 0.000 0.000  -0.01
As3 0.000 0.244 0.742  0.03
As4 0.500 0.248 0.255  -0.03

No. 2
Density functional theory data (PBE-GGA) for a relaxed structure of Co3BiH.

Results
Energy above the lowest structure with this stoichiometry: 1701.6 meV/atom

Cell: 5.002 5.002 5.002 Å, 90.00 90.00 90.00°
Each line ends with the local moment (μB).
Fractional coordinates of all 5 atoms:
Co1 0.000 0.500 0.000  2.08
H1 0.500 0.500 0.500  0.25
Co2 0.500 0.000 0.000  2.39
Bi1 0.000 0.000 0.000  0.04
Co3 0.000 0.000 0.500  1.71

No. 3
Density functional theory data (PBE-GGA) for a relaxed structure of LiBe3F.

Results
Energy relative to the elements, uncorrected: 0.197 eV/atom
Energy above the lowest structure with this stoichiometry: 0.0 meV/atom

Cell: 3.789 3.789 3.789 Å, 90.00 90.00 90.00°
Fractional coordinates of all 5 atoms:
Be1 0.500 0.000 0.000
Be2 0.000 0.500 0.000
Be3 0.000 0.000 0.500
Li1 0.500 0.500 0.500
F1 0.000 0.000 0.000

No. 4
Density functional theory data (PBE-GGA) for a relaxed structure of TbSm2Zn.

Results
Energy above the lowest structure with this stoichiometry: 138.2 meV/atom
Formation energy: -1.1 kJ per mole of atoms

Cell: 3.748 5.479 5.479 Å, 90.00 90.00 90.00°
Fractional coordinates of all 4 atoms:
Zn1 0.500 0.500 0.500
Sm1 0.000 0.500 0.000
Sm2 0.000 0.000 0.500
Tb1 0.500 0.000 0.000

no.,calculated total energy (eV/atom)
1,-8.043
2,-3.766
3,-2.796
4,-3.847
*/
Here the text continues.
Mr Esau and a team of sixth formers produced a literary magazine – Contrasts – which raised a considerable sum for charity. Sadly we do not have a copy of the magazine in our archives, we would be interested in hearing from anyone who may have, please do get in touch.
Mechanics club was thriving with many staff even asking the boys in the club to take a look at their cars when things went wrong - rather than going to a qualified mechanic.
Exceptionally rough weather brought about the abandonment of most of the Duke of Edinburgh Award adventure training in the Lake District.
The first photocopier arrived at the school!